Assignment.
Please restate all of the notes further below with every line break kept.

Source.
/*
{"formula": "C4H16O3", "method": "ωB97M-V with the def2-TZVPD basis set", "spin_multiplicity": 1, "charge": 0, "homo_energy_ev": -11.24, "de_lowest_kcal_mol": 15.7, "smiles": "CCCC.O.O.O", "species": ["C", "C", "C", "C", "H", "H", "H", "H", "H", "H", "H", "H", "H", "H", "O", "H", "H", "O", "H", "H", "O", "H", "H"], "coordinates": [[-2.013, 0.293, -1.626], [-2.237, -0.369, -0.255], [-1.054, -0.163, 0.682], [-1.164, -1.005, 1.957], [-2.246, 1.351, -1.560], [-2.748, -0.076, -2.350], [-1.008, 0.232, -2.031], [-2.502, -1.423, -0.335], [-3.080, 0.168, 0.181], [-1.049, 0.877, 1.005], [-0.080, -0.377, 0.231], [-2.064, -0.770, 2.530], [-0.388, -0.744, 2.676], [-1.080, -2.067, 1.721], [3.623, -0.491, 0.326], [3.695, -0.847, 1.215], [3.594, -1.228, -0.305], [0.974, -1.068, -2.379], [0.506, -1.907, -2.286], [0.620, -0.583, -1.624], [0.932, 2.825, 1.256], [1.445, 3.018, 2.050], [1.548, 2.343, 0.693]], "mulliken_charge": [-1.068, -0.374, 0.177, -1.461, 0.306, 0.304, 0.316, 0.359, 0.266, 0.231, 0.023, 0.328, 0.370, 0.354, -0.638, 0.314, 0.322, -0.680, 0.356, 0.197, -0.629, 0.306, 0.317]}

***

{"formula": "C2H5N2O3", "method": "ωB97M-V with the def2-TZVPD basis set", "spin_multiplicity": 1, "charge": -1, "homo_energy_ev": -4.15, "de_lowest_kcal_mol": 49.8, "smiles": "NN(CO)C(=O)[O-]", "species": ["N", "N", "C", "O", "C", "O", "O", "H", "H", "H", "H", "H"], "coordinates": [[-0.287, -1.652, -0.186], [0.045, -0.383, 0.387], [-1.032, 0.564, 0.429], [-0.964, 1.563, -0.554], [1.382, 0.110, 0.069], [2.200, -0.765, -0.216], [1.520, 1.344, 0.145], [0.610, -2.146, -0.135], [-0.462, -1.522, -1.194], [-1.976, 0.022, 0.301], [-1.027, 1.037, 1.430], [-0.009, 1.828, -0.476]], "mulliken_charge": [-0.775, 0.155, -0.288, -0.580, 0.606, -0.747, -0.806, 0.318, 0.206, 0.305, 0.190, 0.416]}

***

{"formula": "C2H6NO2", "method": "ωB97M-V with the def2-TZVPD basis set", "spin_multiplicity": 1, "charge": 1, "homo_energy_ev": -15.74, "de_lowest_kcal_mol": 20.4, "smiles": "[NH3+]CC(=O)O", "species": ["N", "C", "C", "O", "O", "H", "H", "H", "H", "H", "H"], "coordinates": [[-0.987, -0.452, -0.950], [0.374, -0.245, -0.411], [0.357, 0.622, 0.906], [-0.607, 0.810, 1.604], [1.625, 0.562, 1.368], [-1.598, -1.080, -0.391], [-1.145, -0.787, -1.952], [-1.596, 0.363, -0.953], [0.874, -1.234, -0.084], [1.050, 0.144, -1.166], [1.654, 1.298, 2.030]], "mulliken_charge": [-0.364, -0.515, 0.561, -0.470, -0.396, 0.396, 0.395, 0.372, 0.293, 0.348, 0.380]}

***

{"formula": "C5H9N", "method": "ωB97M-V with the def2-TZVPD basis set", "spin_multiplicity": 1, "charge": 0, "homo_energy_ev": -9.16, "de_lowest_kcal_mol": 85.0, "smiles": "C=CC[C@@H]1CN1", "species": ["C", "C", "C", "C", "C", "N", "H", "H", "H", "H", "H", "H", "H", "H", "H"], "coordinates": [[2.924, 0.144, 0.269], [1.591, 0.199, -0.370], [0.412, -0.579, 0.109], [-0.896, 0.009, -0.475], [-1.809, 0.787, 0.437], [-2.192, -0.523, -0.125], [3.673, 0.793, -0.266], [3.324, -0.623, 1.225], [1.334, 0.801, -1.346], [0.335, -0.727, 1.158], [0.471, -1.585, -0.380], [-0.787, 0.265, -1.506], [-1.664, 0.969, 1.559], [-2.551, 1.608, 0.001], [-2.125, -1.205, 0.606]], "mulliken_charge": [-0.688, -0.153, -0.396, -0.022, -0.425, -0.594, 0.247, 0.212, 0.179, 0.367, 0.220, 0.362, 0.217, 0.200, 0.272]}

***
*/

Response.
{"formula": "C4H16O3", "method": "ωB97M-V with the def2-TZVPD basis set", "spin_multiplicity": 1, "charge": 0, "homo_energy_ev": -11.24, "de_lowest_kcal_mol": 15.7, "smiles": "CCCC.O.O.O", "species": ["C", "C", "C", "C", "H", "H", "H", "H", "H", "H", "H", "H", "H", "H", "O", "H", "H", "O", "H", "H", "O", "H", "H"], "coordinates": [[-2.013, 0.293, -1.626], [-2.237, -0.369, -0.255], [-1.054, -0.163, 0.682], [-1.164, -1.005, 1.957], [-2.246, 1.351, -1.560], [-2.748, -0.076, -2.350], [-1.008, 0.232, -2.031], [-2.502, -1.423, -0.335], [-3.080, 0.168, 0.181], [-1.049, 0.877, 1.005], [-0.080, -0.377, 0.231], [-2.064, -0.770, 2.530], [-0.388, -0.744, 2.676], [-1.080, -2.067, 1.721], [3.623, -0.491, 0.326], [3.695, -0.847, 1.215], [3.594, -1.228, -0.305], [0.974, -1.068, -2.379], [0.506, -1.907, -2.286], [0.620, -0.583, -1.624], [0.932, 2.825, 1.256], [1.445, 3.018, 2.050], [1.548, 2.343, 0.693]], "mulliken_charge": [-1.068, -0.374, 0.177, -1.461, 0.306, 0.304, 0.316, 0.359, 0.266, 0.231, 0.023, 0.328, 0.370, 0.354, -0.638, 0.314, 0.322, -0.680, 0.356, 0.197, -0.629, 0.306, 0.317]}

***

{"formula": "C2H5N2O3", "method": "ωB97M-V with the def2-TZVPD basis set", "spin_multiplicity": 1, "charge": -1, "homo_energy_ev": -4.15, "de_lowest_kcal_mol": 49.8, "smiles": "NN(CO)C(=O)[O-]", "species": ["N", "N", "C", "O", "C", "O", "O", "H", "H", "H", "H", "H"], "coordinates": [[-0.287, -1.652, -0.186], [0.045, -0.383, 0.387], [-1.032, 0.564, 0.429], [-0.964, 1.563, -0.554], [1.382, 0.110, 0.069], [2.200, -0.765, -0.216], [1.520, 1.344, 0.145], [0.610, -2.146, -0.135], [-0.462, -1.522, -1.194], [-1.976, 0.022, 0.301], [-1.027, 1.037, 1.430], [-0.009, 1.828, -0.476]], "mulliken_charge": [-0.775, 0.155, -0.288, -0.580, 0.606, -0.747, -0.806, 0.318, 0.206, 0.305, 0.190, 0.416]}

***

{"formula": "C2H6NO2", "method": "ωB97M-V with the def2-TZVPD basis set", "spin_multiplicity": 1, "charge": 1, "homo_energy_ev": -15.74, "de_lowest_kcal_mol": 20.4, "smiles": "[NH3+]CC(=O)O", "species": ["N", "C", "C", "O", "O", "H", "H", "H", "H", "H", "H"], "coordinates": [[-0.987, -0.452, -0.950], [0.374, -0.245, -0.411], [0.357, 0.622, 0.906], [-0.607, 0.810, 1.604], [1.625, 0.562, 1.368], [-1.598, -1.080, -0.391], [-1.145, -0.787, -1.952], [-1.596, 0.363, -0.953], [0.874, -1.234, -0.084], [1.050, 0.144, -1.166], [1.654, 1.298, 2.030]], "mulliken_charge": [-0.364, -0.515, 0.561, -0.470, -0.396, 0.396, 0.395, 0.372, 0.293, 0.348, 0.380]}

***

{"formula": "C5H9N", "method": "ωB97M-V with the def2-TZVPD basis set", "spin_multiplicity": 1, "charge": 0, "homo_energy_ev": -9.16, "de_lowest_kcal_mol": 85.0, "smiles": "C=CC[C@@H]1CN1", "species": ["C", "C", "C", "C", "C", "N", "H", "H", "H", "H", "H", "H", "H", "H", "H"], "coordinates": [[2.924, 0.144, 0.269], [1.591, 0.199, -0.370], [0.412, -0.579, 0.109], [-0.896, 0.009, -0.475], [-1.809, 0.787, 0.437], [-2.192, -0.523, -0.125], [3.673, 0.793, -0.266], [3.324, -0.623, 1.225], [1.334, 0.801, -1.346], [0.335, -0.727, 1.158], [0.471, -1.585, -0.380], [-0.787, 0.265, -1.506], [-1.664, 0.969, 1.559], [-2.551, 1.608, 0.001], [-2.125, -1.205, 0.606]], "mulliken_charge": [-0.688, -0.153, -0.396, -0.022, -0.425, -0.594, 0.247, 0.212, 0.179, 0.367, 0.220, 0.362, 0.217, 0.200, 0.272]}

***